Last night, a movie called Sharknado screened on the SyFy channel in the UK. I know this because it trended on Twitter. I found out too late to watch, but it's showing again this week so I'll check it out then.

If you have any interest whatsoever in the dafter side of cinema, you were probably already aware of the existence of Sharknado. Like Mega Shark vs Giant Octopus and Sharktopus before it, the trailer began circulating online and got a little bit viral. Sharknado presents itself as an irresistible bit of nonsense; the 'does what it says on the tin' school of filmmaking taken to the extreme. Tornado movies and shark movies aren't natural bedfellows, and that's where the appeal lies.
-- Between two parts of the page: records of molecules --
- - -
[1]
109
Properties=species:S:1:pos:R:3:mulliken_charge:R:1 method="wB97M-V/def2-TZVPD" lumo_energy_ev=0.6 smiles=COC[C@H](C)N.COC[C@H](C)N.COC[C@H](C)N.COC[C@H](C)N.COC[C@H](C)N.CO.CO.CO.CO spin_multiplicity=1
C -6.102 1.133 -2.579 -0.66
O -5.208 0.554 -3.498 -0.41
C -4.063 0.063 -2.847 -0.65
C -3.136 1.147 -2.291 0.66
C -2.808 2.173 -3.396 -0.76
N -1.919 0.436 -1.828 0.53
H -7.017 1.310 -3.169 0.26
H -5.744 2.054 -2.126 0.26
H -6.274 0.419 -1.728 0.28
H -4.287 -0.660 -2.022 0.38
H -3.492 -0.463 -3.656 0.15
H -3.600 1.692 -1.409 0.02
H -2.286 1.661 -4.246 0.29
H -2.253 3.036 -3.028 -0.38
H -3.756 2.564 -3.738 0.49
H -1.222 1.038 -1.431 -0.04
H -2.148 -0.126 -1.003 -0.30
C -2.136 5.952 -1.943 -0.49
O -1.050 6.295 -2.806 -0.47
C -0.321 5.210 -3.293 -1.09
C 0.566 4.390 -2.322 1.88
C 1.597 5.252 -1.625 -1.83
N 1.246 3.325 -3.014 -0.62
H -1.762 5.583 -0.995 0.18
H -2.815 5.257 -2.427 0.21
H -2.734 6.852 -1.828 0.34
H -0.971 4.569 -3.854 0.50
H 0.476 5.543 -3.994 0.41
H -0.019 4.048 -1.492 -0.74
H 2.313 4.675 -1.093 0.45
H 1.113 6.054 -1.037 0.30
H 2.146 5.792 -2.440 0.42
H 2.125 3.633 -3.508 0.29
H 0.687 2.884 -3.737 0.22
C 2.591 -1.719 5.509 -0.90
O 2.110 -0.842 4.479 -0.11
C 2.294 0.536 4.762 -1.24
C 1.983 1.254 3.483 1.50
C 2.439 2.727 3.459 -1.66
N 0.480 1.225 3.299 -0.64
H 2.284 -2.732 5.264 0.23
H 2.243 -1.478 6.518 0.34
H 3.682 -1.666 5.543 0.32
H 1.655 0.882 5.609 0.39
H 3.293 0.714 4.920 0.53
H 2.533 0.716 2.706 -0.21
H 3.531 2.709 3.503 0.42
H 1.989 3.148 4.342 0.41
H 1.929 3.218 2.646 0.32
H 0.151 0.282 3.490 0.29
H 0.249 1.531 2.364 0.02
C 1.861 -7.131 0.974 -0.67
O 2.477 -5.935 0.426 -0.32
C 2.505 -4.787 1.188 -0.12
C 2.886 -3.612 0.344 0.61
C 3.019 -2.336 1.204 -1.17
N 1.772 -3.386 -0.639 -0.21
H 2.463 -7.443 1.859 0.28
H 2.016 -7.804 0.099 0.23
H 0.817 -6.895 1.156 0.26
H 1.526 -4.685 1.664 -0.24
H 3.283 -4.879 1.995 0.31
H 3.851 -3.847 -0.126 0.12
H 3.859 -2.443 1.906 0.55
H 2.126 -2.117 1.762 0.21
H 3.261 -1.515 0.555 0.13
H 1.724 -2.414 -0.947 -0.18
H 1.776 -3.899 -1.529 0.23
C -2.847 -4.985 3.870 -0.77
O -2.861 -4.463 2.570 -0.34
C -1.884 -3.509 2.340 -0.15
C -2.353 -2.649 1.096 0.19
C -2.240 -3.311 -0.276 -1.02
N -1.731 -1.296 1.056 0.00
H -3.062 -4.200 4.634 0.29
H -1.889 -5.406 4.169 0.29
H -3.663 -5.688 3.882 0.28
H -1.833 -2.737 3.135 0.37
H -0.906 -3.981 2.247 -0.09
H -3.428 -2.455 1.374 0.32
H -1.175 -3.645 -0.381 0.13
H -2.491 -2.499 -0.944 0.14
H -2.877 -4.226 -0.377 0.40
H -1.874 -0.825 1.922 0.27
H -0.749 -1.285 0.883 -0.40
C -2.874 2.765 1.449 -0.62
O -1.888 3.302 0.555 -0.36
H -2.441 2.569 2.431 0.31
H -3.732 3.413 1.612 0.29
H -3.219 1.752 1.073 0.12
H -1.070 2.885 0.841 0.15
C 5.472 1.048 -2.365 -0.56
O 5.159 -0.046 -1.498 -0.45
H 6.509 1.004 -2.668 0.34
H 4.846 0.878 -3.216 0.19
H 5.228 2.010 -1.905 0.22
H 5.803 -0.218 -0.822 0.27
C 0.008 -1.760 -3.948 -0.94
O 0.338 -0.946 -2.859 -0.33
H -0.054 -1.179 -4.837 0.34
H 0.849 -2.378 -4.168 0.29
H -0.875 -2.347 -3.733 0.27
H -0.409 -0.297 -2.618 0.32
- - -
-- End of the records of molecules --
I'm a man who knows the power of a dumb title.
For over 10 years, my wife Pip and I had Strippers vs (Something) as a running joke. It started when I labelled a double-bill VHS of trashy movies that I'd taped off the telly as Strippers vs Nutters Vol.1, and kept cropping up throughout the decade. There was a reference to an imaginary film called Strippers vs Maniacs Dressed as Clowns in my stand-up set circa 2001.
A few years ago I was out at Cannes Festival, selling the distribution rights to a micro-budget movie called The Devil's Music which we'd just completed post-production on and I was extremely proud of. We'd put together a little sales brochure for our company, largely to plug The Devil's Music, but we'd run out of content to fill the pages.
Half-jokingly, we put together a half-page In Development section with a quick little logo for Strippers vs Werewolves along with a tagline stating "It's a B-movie, but it's a bloody good one".
During the festival, something weird started happening. Those three words - Strippers vs Werewolves - began to overpower the movie that we'd already shot.
People stopped introducing me as "the guy who made The Devil's Music".
Instead, they'd introduce me as "the guy who's going to make Strippers vs Werewolves".
Much like Sharknado, it was a concept so cheerfully ridiculous that people were immediately drawn to it. Before too long, I had some serious enquiries about the property and thus I actually sat down and wrote the thing. I sold the script, and it ended up being extensively rewritten by the wonderful Phill Barron and directed by the lovely Jonathan Glendening.
The resultant movie was ultimately released right slap bang in the middle of a whole slew of 'vs' movies (Cockneys vs Zombies, Ninjas vs Vampires, even Zombies vs Strippers) and apparently took £38 pounds at the box office.
Four people went to see it.
That's a fact that continues to generate publicity for the film well over a year later, (just search Strippers vs Werewolves on Twitter - I'd be really surprised if nobody has retweeted the £38 thing in the last week or so). Phill Barron dissects whether this was a 'good' or 'bad' or even 'intentional' thing in a post over here. Incidentally, I very nearly buggered up the whole "£38 at the box office" thing by going to watch it myself out of curiosity.
That massive flood of 'vs' movies did make the whole thing seem rather less original in 2012 than it had done in 2008, though. My plans for Cheerleaders vs Poltergeists and Waitresses vs The Loch Ness Monster faded and died.
But, one day, man. One day I'll wake up on a fine summer's morning with a movie title so irresistibly ridiculous that it'll make Sharknado look like Hamlet.
And you'll roll your eyes when you see it showing at the cinema and ask yourself "Who writes this shit?"
And you'll hear me whisper "I do".
Because I'll be right behind you in the queue.
Along, presumably, with two other people.